The Woodlands Township could look to establishing a new "mini" mass transit service in the next year, providing an alternative to the fixed route transit currently available in the township.

The breakdown

Township Director of Transportation Ruthanne Haut presented the plan before board members on March 26, which would provide an app-based transit service with a fleet of electric vehicles similar to ride-share services like Uber and Lyft. Haut said existing transit services like The Woodlands Trolley only follow fixed routes in the Town Center area, whereas the on-demand vehicle transit would be able to go anywhere within a geographically mapped area.

1.
The following is a DFT calculation (ωB97M-V/def2-TZVPD) of a single C3H3NO3 molecule at a distorted geometry.

Computed properties:
HOMO-LUMO gap (alpha / beta) ... 7.406 / 8.457 eV
Total energy ... -396.38984 a.u.
Spin multiplicity ... 1
Relative energy (zero: lowest compared OMol25 entry of this formula, charge and spin) ... 615.9 kJ/mol

CARTESIAN COORDINATES (ANGSTROEM)
C 1.9606 0.1529 0.1970
C 0.6455 -0.5973 0.4152
C -2.5362 0.8506 -0.0324
N -1.1715 0.8395 -0.0707
O -3.2948 0.0570 0.5103
O 2.4552 1.2224 0.4590
O -0.6320 -0.2446 0.4516
H 2.5861 -0.6280 -0.2953
H 0.9890 -1.6106 0.6620
H -2.9606 1.7291 -0.7783

Atomic forces in eV per Å
0.2 -0.2 -0.7
0.2 2.3 0.1
-2.8 -0.1 -1.1
2.1 1.7 -0.7
1.1 1.1 -0.5
-1.4 -0.6 0.1
0.7 -2.4 0.5
0.2 0.1 0.2
-1.5 0.0 0.1
1.2 -1.8 2.0

---

2.
The following is a DFT calculation (ωB97M-V/def2-TZVPD) of a molecular structure, C3H3NO5 at a distorted geometry.

Computed properties:
HOMO-LUMO gap ... 8.259 eV
Total energy ... -547.02168 a.u.
Spin multiplicity ... 1
Relative energy (zero: lowest compared OMol25 entry of this formula, charge and spin) ... 261.0 kJ/mol

CARTESIAN COORDINATES (ANGSTROEM)
N -0.4881 1.1630 -0.3745
C -0.3438 -0.2093 -0.9010
C 0.4347 -0.6547 1.0423
C 0.0409 1.2475 0.8172
O -1.6056 -0.6693 -1.1303
O 1.7252 -0.9930 0.9615
O 0.6536 -0.5493 -1.5133
O -0.3572 -1.1649 1.7796
O 0.4409 1.9818 1.6344
H -1.5377 -1.4689 -1.6722
H 2.0877 -0.5830 0.1529
H -1.0504 1.9000 -0.7965

Atomic forces in eV per Å
-0.9 0.0 -0.7
-1.0 2.0 -3.1
-0.2 2.6 2.4
2.4 -3.7 0.3
1.2 -0.1 0.6
0.1 -0.2 -0.5
-1.1 -0.2 1.0
0.2 -0.7 -0.4
-0.7 0.8 0.2
0.1 -0.1 0.0
-0.1 -0.2 0.3
0.1 -0.2 -0.2

---

3.
The following is a DFT calculation (ωB97M-V/def2-TZVPD) of a single C3H3NOS molecule.

Computed properties:
HOMO-LUMO gap ... 8.856 eV
SMILES ... S=c1cco[nH]1
Total energy ... -644.22947 a.u.
Spin multiplicity ... 1
Relative energy (zero: lowest compared OMol25 entry of this formula, charge and spin) ... 150.9 kJ/mol

CARTESIAN COORDINATES (ANGSTROEM)
C -0.4220 -0.0763 0.9167
C -0.9762 -0.8392 -0.0436
C 0.6595 0.6496 0.2987
N 0.6406 0.2391 -0.9965
O -0.3631 -0.6846 -1.2355
S 1.7237 1.7352 0.9069
H -0.6998 0.0032 1.9458
H -1.7973 -1.5296 -0.0289
H 1.2347 0.5026 -1.7636

Atomic forces in eV per Å
-0.2 -0.3 -0.5
0.4 0.5 0.4
0.0 -0.1 -0.5
-0.4 -0.1 0.9
0.1 -0.1 -0.4
0.4 0.4 0.2
-0.1 0.0 0.2
-0.1 -0.1 -0.1
-0.1 -0.1 -0.1

---

4.
The following is a DFT calculation (ωB97M-V/def2-TZVPD) of a single C3H3NOS molecule at a distorted geometry.

Computed properties:
HOMO-LUMO gap ... 9.192 eV
SMILES ... Sc1ccon1
Total energy ... -644.15669 a.u.
Spin multiplicity ... 1
Relative energy (zero: lowest compared OMol25 entry of this formula, charge and spin) ... 341.9 kJ/mol

CARTESIAN COORDINATES (ANGSTROEM)
C -0.2919 -0.0865 0.1218
C 0.5324 1.0710 0.0227
C 1.8105 0.6354 -0.0758
H -1.8353 1.4145 0.6126
H -0.1698 2.0297 0.2576
H 2.8190 1.1385 -0.1988
N 0.5011 -1.1801 0.1799
O 1.8550 -0.6046 -0.0833
S -1.9667 -0.0753 -0.1048

Atomic forces in eV per Å

"It's flexible, it's convenient. It's [a] non-fixed route. Our trolleys are a fixed route service; they don't deviate, so this can kind of take you anywhere within that geomapped area," Haut said. "It improves that last mile, first mile connectivity, and it's really driven by that data, that software and optimizing those rides."

Haut said the program has been successful in areas like Fort Lauderdale, Florida, where the service runs through the area's entertainment and hotel districts. Board member Linda Nelson said she had seen firsthand the service in Fort Lauderdale, and said the option would be helpful for those who do not want to spend money on an Uber or Lyft ride, which may not pick up riders for short distance rides.

"These are just as easy as moving around the trolley," Nelson said. "I love the trolley, but you're just on their route. If you're on lunch time and you want to go from The [Woodlands] Waterway to Hughes Landing, ... that would be something to call them real quickly and go."

The cost

Haut said if the township sought to move forward on developing a version of the program, the board could either choose to locally fund the program—which would provide greater freedom to the township to shift the program as needed—or seek grant funds which may come with a number of additional requirements to ensure compliance.

Here the piece breaks off for records of molecules.
+++
1.
This record from the OMol25 dataset describes a molecular structure, C5H8N2O. The level of theory is ωB97M-V with the def2-TZVPD basis set.

Lowest unoccupied orbital energy (eV): 0.46
ΔE to the lowest compared entry with this formula, charge and spin (kcal/mol): 180.8
E_tot (eV): -10334.88697
Max |F| (eV/A): 7.43

Each line ends with the Löwdin charge.
Cartesian coordinates (Å):
C (0.786, 0.474, -0.176)  -0.540
C (0.373, -0.881, -1.045)  0.007
C (-0.827, -0.938, 0.013)  -0.255
C (0.115, -0.258, 1.034)  -0.149
C (-0.064, 1.583, -0.140)  -0.110
H (2.625, -0.134, 0.628)  0.255
H (1.195, -1.494, -0.292)  0.152
H (0.646, -0.772, -2.196)  0.143
H (-1.273, -1.837, 0.317)  0.108
H (0.342, -1.205, 1.569)  0.122
H (-0.109, 0.625, 1.755)  0.149
H (-2.881, -0.109, -0.745)  0.232
H (0.152, 2.592, -0.229)  0.093
N (-1.855, 0.186, -0.106)  -0.115
N (-1.443, 1.461, -0.222)  0.009
O (2.218, 0.706, -0.163)  -0.102


2.
This record from the OMol25 dataset describes a molecular structure, C42H45AsGeN2O3S4SbSeW. The level of theory is ωB97M-V with the def2-TZVPD basis set.

Lowest unoccupied orbital energy (eV): 1.60
Charge: -1
ΔE to the lowest compared entry with this formula, charge and spin (kcal/mol): 0.0
E_tot (eV): -287814.89147
Max |F| (eV/A): 0.98

Each line ends with the Löwdin charge.
Cartesian coordinates (Å):
W (0.146, -0.769, -1.156)  1.121
C (1.803, 3.073, 1.173)  -0.090
O (0.928, 1.978, 1.322)  -0.188
C (-0.411, 2.212, 1.180)  -0.248
C (-0.989, 3.449, 1.408)  -0.026
C (-2.373, 3.603, 1.344)  -0.121
C (-3.167, 2.509, 1.056)  -0.125
C (-2.586, 1.271, 0.811)  -0.054
C (-1.208, 1.101, 0.844)  -0.229
N (-0.583, -0.143, 0.647)  -0.118
N (-1.425, -1.144, 0.081)  -0.146
C (-1.270, -2.436, 0.677)  -0.201
C (-0.015, -2.978, 0.613)  -0.414
O (0.938, -2.224, 0.040)  -0.401
C (0.253, -4.269, 1.118)  -0.038
C (-0.764, -5.000, 1.649)  -0.038
C (-2.085, -4.490, 1.697)  -0.179
C (-3.156, -5.244, 2.234)  -0.051
C (-4.427, -4.745, 2.265)  -0.105
C (-4.688, -3.457, 1.745)  -0.094
C (-3.677, -2.703, 1.221)  -0.017
C (-2.347, -3.194, 1.190)  -0.100
H (1.777, 3.739, 2.041)  0.091
H (1.562, 3.641, 0.269)  0.099
H (2.804, 2.653, 1.087)  0.074
H (-0.366, 4.297, 1.660)  0.101
H (-2.814, 4.574, 1.535)  0.096
H (-4.244, 2.612, 1.004)  0.101
H (-3.192, 0.416, 0.555)  0.092
H (1.261, -4.657, 1.043)  0.118
H (-0.577, -5.999, 2.028)  0.112
H (-2.946, -6.236, 2.621)  0.105
H (-5.237, -5.335, 2.676)  0.091
H (-5.700, -3.070, 1.759)  0.094
H (-3.871, -1.722, 0.810)  0.094
S (1.239, -2.666, -4.861)  -0.145
As (0.347, -2.796, -2.989)  -0.136
S (-1.068, -0.558, -2.966)  0.155
S (2.559, -0.603, -1.975)  0.691
S (-0.731, -4.462, -2.400)  -0.033
C (1.992, 1.814, -3.324)  -0.045
C (1.794, 0.861, -2.201)  -0.938
O (0.852, 1.116, -1.353)  -0.312
H (2.428, 2.738, -2.938)  0.096
H (1.008, 2.052, -3.734)  0.063
H (2.632, 1.394, -4.094)  0.086
C (4.981, -4.897, 2.918)  -0.103
C (4.722, -4.067, 4.003)  -0.095
C (4.113, -2.836, 3.805)  -0.125
C (3.759, -2.414, 2.525)  -0.386
+++

Based on preliminary projections, Haut said the program would cost the township, on average, just over $1 million annually to operate six to eight vehicles on the service, which covers an operation schedule of seven days a week from 8 a.m. to midnight. Haut said an additional $40,000 would also be needed for marketing purposes during its first year if authorized, as well as a supervisory position to oversee customer service concerns.

The action taken

**Data records, kept here for reference:**
____________
#a
A cluster of 2 separate species, C3H7O3 in total. Source: OMol25; level of theory: the ωB97M-V functional and the def2-TZVPD basis.

Properties
HOMO-LUMO gap	8.576	eV
LUMO	4.08	eV

Structure (ORCA input):
```
! RIJCOSX wB97M-V def2-TZVPD def2/J DEFGRID3
* xyz -1 1
O -1.62 -0.35 -3.48
C -1.32 -0.09 -2.30
O -0.53 -0.70 -1.52
H -2.03 0.61 -1.82
H -0.80 -0.78 0.03
C 0.14 0.28 1.41
O -0.81 -0.74 1.05
C 1.49 0.07 0.80
H -0.20 1.31 1.24
H 0.04 0.20 2.51
H 2.09 0.86 1.25
H 2.01 -0.82 1.14
H 1.54 0.15 -0.29
*
```


#b
A cluster of 2 separate species, C3H7O3 in total. Source: OMol25; level of theory: the ωB97M-V functional and the def2-TZVPD basis.

Properties
HOMO-LUMO gap	6.426	eV
LUMO	4.00	eV

Structure (ORCA input):
```
! RIJCOSX wB97M-V def2-TZVPD def2/J DEFGRID3
* xyz -1 1
C -0.83 -1.63 -0.25
O 0.46 -1.13 -0.50
C 0.87 -0.18 0.43
C 1.59 0.93 0.01
O 2.31 1.10 -1.02
H -1.05 -2.38 -1.01
H -0.90 -2.10 0.75
H -1.59 -0.82 -0.31
H 0.89 -0.53 1.47
H 1.44 1.37 1.12
H -0.23 1.52 -0.26
O -1.13 2.09 -0.50
H -1.83 1.77 0.07
*
```


#c
A cluster of 2 separate species, C3H7O3 in total. Source: OMol25; level of theory: the ωB97M-V functional and the def2-TZVPD basis.

Properties
HOMO-LUMO gap	8.999	eV
LUMO	4.40	eV

Structure (ORCA input):
```
! RIJCOSX wB97M-V def2-TZVPD def2/J DEFGRID3
* xyz -1 1
C -0.89 0.81 -0.11
O -0.78 0.17 -1.36
C -1.49 -0.14 0.93
H -1.51 1.70 -0.24
H 0.10 1.13 0.24
H -1.58 0.38 1.89
H -0.84 -1.00 1.01
H -2.48 -0.45 0.60
O 1.71 -0.83 0.71
C 2.31 -0.66 -0.37
O 1.89 -0.10 -1.42
H 3.39 -0.96 -0.38
H 0.17 -0.03 -1.49
*
```


#c wins, 0.428 eV ahead of the next structure.


#a
A cluster of 2 separate species, C3H7O3 in total. Source: OMol25; level of theory: the ωB97M-V functional and the def2-TZVPD basis.

Properties
HOMO-LUMO gap	8.369	eV
LUMO	4.08	eV

Structure (ORCA input):
```
! RIJCOSX wB97M-V def2-TZVPD def2/J DEFGRID3
* xyz -1 1
C -2.14 0.54 0.21
O -1.44 -0.39 0.96
H -0.50 -0.06 1.12
H -2.58 0.09 -0.70
H -1.55 1.40 -0.11
H -2.98 0.96 0.79
C 1.49 -0.77 -0.88
C 1.79 0.14 0.33
O 1.02 0.23 1.32
O 2.86 0.78 0.18
H 1.44 -0.09 -1.71
H 0.48 -1.20 -0.81
H 2.12 -1.63 -0.71
*
```


#b
A cluster of 2 separate species, C3H7O3 in total. Source: OMol25; level of theory: the ωB97M-V functional and the def2-TZVPD basis.

Properties
HOMO-LUMO gap	8.552	eV
LUMO	4.34	eV

Structure (ORCA input):
```
! RIJCOSX wB97M-V def2-TZVPD def2/J DEFGRID3
* xyz -1 1
C -2.20 1.35 -0.44
C -0.93 0.54 -0.02
O -0.76 -0.55 -0.63
O -0.28 1.02 0.93
H -1.92 2.40 -0.45
H -3.00 1.09 0.25
H -2.42 1.00 -1.45
C 2.07 -1.20 0.63
O 2.01 -0.93 -0.75
H 1.11 -1.10 -1.08
H 1.19 -0.83 1.15
H 2.26 -2.25 0.87
H 2.88 -0.55 0.99
*
```


#c
A cluster of 2 separate species, C3H7O3 in total. Source: OMol25; level of theory: the ωB97M-V functional and the def2-TZVPD basis.

Properties
HOMO-LUMO gap	8.356	eV
LUMO	4.19	eV

Structure (ORCA input):
```
! RIJCOSX wB97M-V def2-TZVPD def2/J DEFGRID3
* xyz -1 1
O 0.00 -0.25 -2.11
C -0.15 -0.19 -0.88
O -0.88 -0.96 -0.19
C 0.53 0.99 -0.16
C 2.03 0.72 0.01
____________

Board members unanimously agreed to look further into the possibility of creating the service as the board prepares to hold its annual strategic planning session, where board members will discuss future goals and priorities for the township. The board also requested Haut look to potential grant funds through the Houston-Galveston Area Council to help offset the cost of the service if the board agrees to make it a priority in the 2026 budget initiatives.